
  • 网络Economic welfare;economic well-being
  1. 2007年之后,美国的经济福利依然在增长,但提升速度明显放缓。

    Since 2007 , economic welfare in the U.S. has continued to improve .

  2. 琼斯-克列诺研究给予了我们方法上的启示,那就是经济福利是多维度的。

    Methodologically , the lesson from the Jones-Klenow research is that economic welfare is multi-dimensional .

  3. 假设我们想对比2005年美国人和法国人民享有的经济福利。

    Suppose we want to compare the economic welfare of citizens of the U.S. and France in 2005 .

  4. 根据这种方法,从2000年初到2005年,美国一直是大国中经济福利最好的。

    According to this measure , as of the early-to-mid-2000s , the U.S. had the highest economic welfare of any large country .

  5. 例如,在这种计算方法指导下,英联邦的经济福利达到了美国的97%,而墨西哥只达到了美国的22%。

    For example , this calculation puts economic welfare in the United Kingdom at 97 % of U.S. levels , but estimates Mexican well-being at 22 % .

  6. 正当我们思考这一问题时,碰巧查尔斯·琼斯和皮特·克列诺最近发表了一篇文章,提出了一种新的有趣的衡量经济福利的计算方法。

The article is interrupted by data records:
-- begin --
(1)
C15H20N2O4 | ωB97M-V/def2-TZVPD

Geometry as XYZ:
```
41
C15H20N2O4 ωB97M-V/def2-TZVPD
O -1.60 -1.51 -3.08
C -0.71 -1.11 -2.36
C 0.33 -2.08 -1.75
O 0.22 -2.17 -0.33
C 0.86 -1.25 0.40
O 1.51 -0.35 -0.07
C 0.68 -1.49 1.85
C 0.60 -2.76 2.36
C 0.48 -2.98 3.74
C 0.44 -1.90 4.57
N 0.49 -0.65 4.07
C 0.59 -0.32 2.71
O 0.58 0.84 2.38
N -0.50 0.17 -2.02
C -1.36 1.25 -2.44
C -0.58 2.31 -3.24
C 0.82 2.66 -2.72
C 0.95 2.99 -1.22
C -0.32 3.54 -0.56
C -1.29 2.44 -0.13
C -2.13 1.85 -1.25
H 1.34 -1.76 -2.03
H 0.13 -3.08 -2.13
H 0.65 -3.60 1.69
H 0.43 -3.98 4.14
H 0.36 -1.99 5.64
H 0.45 0.15 4.69
H 0.28 0.41 -1.42
H -2.10 0.80 -3.11
H -1.19 3.21 -3.28
H -0.46 1.95 -4.26
H 1.15 3.53 -3.30
H 1.50 1.84 -2.95
H 1.26 2.10 -0.66
H 1.75 3.72 -1.11
H -0.82 4.25 -1.21
H -0.01 4.07 0.34
H -0.72 1.66 0.38
H -1.98 2.86 0.61
H -2.79 2.62 -1.65
H -2.76 1.06 -0.84
```

Values from the calculation:
SMILES ... O=C(COC(=O)c1ccc[nH]c1=O)NC1CCCCCC1
E_tot ... -994.10624 hartree
Multiplicity ... 1
Net charge ... 0

Here are the natural (NBO) charges for atoms 1 to 6, given in e: O -0.62; C 0.65; C -0.17; O -0.49; C 0.80; O -0.60

(2)
C4H14Ta | ωB97M-V/def2-TZVPD

Geometry as XYZ:
```
19
C4H14Ta ωB97M-V/def2-TZVPD
C 1.91 -0.87 0.42
C 1.51 0.20 -0.62
C 0.68 1.38 -0.05
C -0.64 0.99 0.70
Ta -1.96 -0.62 -0.28
H 1.27 -0.86 1.31
H 1.77 -1.86 -0.03
H 2.96 -0.80 0.69
H 1.03 -0.21 -1.51
H 2.45 0.64 -0.98
H 1.35 1.86 0.69
H 0.53 2.11 -0.84
H -1.25 1.91 0.73
H -0.44 0.75 1.75
H -1.44 -0.18 -2.02
H -3.39 0.56 -0.28
H -2.53 -1.13 1.44
H -0.69 -1.97 -0.14
H -3.12 -1.90 -0.97
```

Values from the calculation:
E_tot ... -217.59498 hartree
Multiplicity ... 1
Net charge ... -1

Here are the natural (NBO) charges for atoms 1 to 6, given in e: C -0.62; C -0.41; C -0.39; C -1.05; Ta 2.09; H 0.22

(3)
C4H9NO | ωB97M-V/def2-TZVPD

Geometry as XYZ:
```
15
C4H9NO ωB97M-V/def2-TZVPD
C 0.02 0.77 2.18
C 0.35 0.78 0.65
C -0.37 -0.34 -0.09
N -0.07 -1.64 0.42
C -0.13 -0.21 -1.60
O 0.10 0.82 -2.19
H -0.93 0.30 2.38
H 0.75 0.15 2.69
H 0.07 1.79 2.54
H 0.08 1.72 0.20
H 1.43 0.65 0.58
H -1.43 -0.10 0.01
H 0.90 -1.85 0.58
H -0.62 -2.40 0.05
H -0.14 -1.18 -2.14
```

Values from the calculation:
SMILES ... CC[C@H](N)C=O
E_tot ... -287.78348 hartree
Multiplicity ... 1
Net charge ... 0

Here are the natural (NBO) charges for atoms 1 to 6, given in e: C -0.61; C -0.39; C -0.16; N -0.85; C 0.44; O -0.52

(4)
C8H10ClNO | ωB97M-V/def2-TZVPD

Geometry as XYZ:
```
21
C8H10ClNO ωB97M-V/def2-TZVPD
C 1.26 -1.51 -1.25
C 0.82 -0.69 0.02
C 0.12 -1.31 1.14
O -0.06 -2.40 1.60
C -0.57 0.07 1.60
Cl 0.05 0.99 2.95
C -2.00 -0.07 1.82
N -3.14 -0.14 1.87
C -0.05 0.52 -0.10
C 0.74 1.84 -0.07
C -1.20 0.51 -1.01
H 0.36 -2.08 -1.60
H 2.12 -2.06 -0.95
H 1.56 -0.76 -2.00
H 1.83 -0.41 0.46
H 0.03 2.72 -0.17
H 1.49 1.64 -0.94
H 1.28 1.89 0.94
H -0.94 0.36 -2.13
H -1.94 1.31 -1.16
H -1.77 -0.42 -1.01
```

Values from the calculation:
SMILES ... C[C@@H]1C(=O)[C@](Cl)(C#N)C1(C)C
E_tot ... -900.93472 hartree
Multiplicity ... 1
Net charge ... 0
-- stop --
So much for the data records:

    While thinking about the question , we came across a recently published article by Charles Jones and Peter Klenow , which proposes an interesting new measure of economic welfare .

  7. 绿色GDP是在SNA核算体系的基础上,对外部影响因素和自然资源进行综合考虑而得出的新的GDP,代表着一个国家或地区更综合的经济福利水平。

    Green GDP considers external influencing factors and natural resources on the basic of SNA , representing for more general welfare level . China is in the interim of revolution toward new SNA and SEEA .

  8. 炮制所谓的回暖苗头,V形复苏和其他各种伎俩的人更关心的是你的选票、消费、购买高价股票和每日交易,而不是你的长期经济福利。

    Talk of green shoots , V-shaped recovery , and assorted other tricks were designed by those who are more interested in your vote , your spending , your purchasing overpriced securities , and your daily trading than your long term economic well being .

  9. 一个重要的原因是,各国政府着眼于提高一个定义狭隘、以物质为本的经济福利衡量指标,即国民生产总值(gnp),而非一个更全面的基于幸福的福利指标。

    An important reason is that governments have aimed to maximise a narrowly defined materially based measure of economic welfare , gross national product , rather than a more holistic indicator of welfare based on happiness .

  10. 中国经济福利的动态及社会福利的可持续改善研究

    Economic Welfare Dynamic and Sustainable Development of Social Welfare in China

  11. 而医疗卫生领域的的改革目标则是健康福利最大化,与经济福利并不是一回事。

    The health welfare is different from the economic welfare .

  12. 我国对外贸易经济福利模型研究

    Research on the Economic Welfare Model of Chinese Foreign Trade

  13. 幸福;繁荣经济福利的损失不大,这是因为人口也会向北方大量迁移。

    Welfare losses are small because there are big movements of people northward .

  14. 经济福利、弹性与政府政策

    Economic Welfare , Elasticity and Government 's Policies

  15. 供需特征、替代效应与经济福利&对中国电视活动营销的理论解析

    An Analysis on TV Events Marketing in China

  16. 当对外贸易是在增加我国经济福利的前提下,发展对外贸易才是正确的。

    Foreign trade can only be developed when it can increase the economic welfare .

  17. 天津保税区社会经济福利水平的实证评价

    A Positive Appreciation on the Social and Economic Welfare Level of the Tianjin Bonded Area

  18. 非正常的垄断会破坏资源的合理配置,损害社会经济福利。

    The abnormal monopoly destroys the rational resource distribution and damages the social economic welfare .

  19. 可维持的经济福利量

    Maintainable economic welfare amount

  20. 随着经济福利、物质文明的增进,人们对精神利益也日益重视。

    With the improvement of economic benefits and material civilization , spiritual interests have been paid much attention to .

  21. 广义的社会福利理论则认为,人们的福利除了经济福利之外,还应包括政治福利和文化福利;

    Broad social welfare theory thinks the welfare should consist of political and cultural welfare in addition to economic aspect .

  22. 我国卫生经济福利性、公益性的基本属性,决定了医患关系的非经济性和不平等性。

    The public welfare property of health economy in our country determines that the relationship is non-economical as well as unequal .

  23. 1809年,她发明了一种编织稻草帽的方法,这种方法成为了新英格兰的经济福利。

    In 1809 , she developed a way of weaving straw into hats that was an economic boon for New England .

  24. 第四部分,运用福利经济学及西方经济学的理论分析了逆差对中国经济福利和企业的影响。

    The fourth part analyzes the influence of the deficit to the economy of China applying the welfare economics and economics .

  25. 随后依据2005年全国1%人口抽样调查数据对西北地区省际人口流动的经济福利效应进行实证分析。

    Then the article empirically analyzes the economic welfare effects of the northwest Inter-provincial flow based on2005National1 % Population Sample Survey data .

  26. 农地整理不仅为农户带来了经济福利,还增加了农户非经济福利。

    Rural land consolidation not only brings the economic benefits for rural households , but also increases the rural households ' non-economic benefits .

  27. 对竞争必然促进经济福利的盲目信念也使其忽视了对经济生活中经常存在的过度竞争现象的研究。

    The blind faith in the fact that competition will invariably lead to greater economic welfare also avoids studies on excessive competition in economic life .

  28. 庇古认为,更平等的分配制度可以提高经济福利,同时他也是福利国家的早期倡导者。

    Pigou held that more equal distribution of income was likely to increase economic welfare , and was an early advocate of the welfare state .

  29. 而管网覆盖率和社会经济福利的关系也类似,对于普遍服务市场的网络普及率与社会福利之间的关系,取决于两市场相对的边际成本大小。

    The relationships between pipe network coverage and socio-economic welfare was also similar . It depends on the relative marginal cost size of the two markets .

  30. 贸易自由化以后我国农业部门应该基于比较优势原则进口土地密集型产品,出口劳动密集型产品,实现贸易交换的经济福利。

    Based on the principle of comparative advantage , we will import more land-intensive agri-productions and export labor-intensive productions to achieve economic welfare from liberal trade .